### Job
Restate every line further below that contains the word "C2H3NO2", please.
### Listing
'''
{"formula": "C2H3NO2", "method": "wB97M-V/def2-TZVPD", "molar_mass_g_mol": 73.051, "charge": 0, "smiles": "C#[N+][O-].C=O", "homo_lumo_gap_ev": 10.44, "symbols": ["C", "C", "N", "O", "O", "H", "H", "H"], "xyz": [[-1.39447, -0.95515, -0.36093], [1.23043, 1.51220, 0.70667], [1.63580, 0.54055, 0.21476], [2.22472, -0.38234, -0.20541], [-0.22623, -1.20299, -0.24804], [-2.09981, -1.24796, 0.42143], [-1.85753, -0.45979, -1.21884], [0.48709, 2.19548, 0.69035]], "mulliken_charge": [-0.1060, -0.2200, 0.4736, -0.5348, -0.3679, 0.2343, 0.2326, 0.2882]}
'''
### Done
{"formula": "C2H3NO2", "method": "wB97M-V/def2-TZVPD", "molar_mass_g_mol": 73.051, "charge": 0, "smiles": "C#[N+][O-].C=O", "homo_lumo_gap_ev": 10.44, "symbols": ["C", "C", "N", "O", "O", "H", "H", "H"], "xyz": [[-1.39447, -0.95515, -0.36093], [1.23043, 1.51220, 0.70667], [1.63580, 0.54055, 0.21476], [2.22472, -0.38234, -0.20541], [-0.22623, -1.20299, -0.24804], [-2.09981, -1.24796, 0.42143], [-1.85753, -0.45979, -1.21884], [0.48709, 2.19548, 0.69035]], "mulliken_charge": [-0.1060, -0.2200, 0.4736, -0.5348, -0.3679, 0.2343, 0.2326, 0.2882]}